How do the activities of Boko Haram in Nigeria demonstrate

the ability for culture to link or divide a country? (1 point)
These activities demonstrate that religion is a largely
centripetal force.
These activities show that language operates as a
centrifugal force.
These activities show that language is sometimes a
centripetal force.
These activities show how religious radicalization can be a
centrifugal force

These activities show how religious radicalization can be a centrifugal force.

(Quantum chemistry results from another source follow)
=====
48
Properties=species:S:1:pos:R:3:forces:R:3 method="wB97M-V/def2-TZVPD" homo_ev="-14.59 / -14.53" spin_multiplicity=2 s2=0.756 homo_lumo_gap_ev="6.1 / 6.1" e_tot_ev=-48597.328 e_above_lowest_kcal_mol=1.32 total_charge=+2
Re 0.3384 -0.4789 0.6914 -0.1 0.5 -0.3
N -0.4102 -4.0204 2.9785 0.0 0.0 0.0
C -0.2646 -2.7518 2.5883 -0.1 -0.2 -0.1
S -0.7512 -2.3952 0.8803 0.0 0.0 0.0
N 0.2110 -1.8474 3.3640 0.1 0.2 0.0
N 0.2478 -0.5807 2.7617 0.0 -0.1 0.2
C 0.0791 0.3943 3.5923 0.0 -0.1 0.1
C -0.1452 1.7578 3.2154 0.0 -0.1 0.1
C -0.2341 2.7349 4.2208 0.0 0.0 0.0
C -0.5715 4.0321 3.9090 0.0 0.0 -0.1
C -0.8563 4.3724 2.5853 0.0 0.0 0.1
C -0.7949 3.4262 1.5789 0.0 0.0 -0.1
C -0.4317 2.1300 1.9003 0.0 0.1 -0.1
O -0.3664 1.2214 0.8672 0.0 -0.3 0.0
H -0.8709 -4.6998 2.3986 0.0 0.0 0.0
H -0.1857 -4.2725 3.9290 0.0 0.0 0.0
H 0.0279 0.1217 4.6430 0.0 0.0 0.0
H -0.0397 2.4505 5.2473 0.0 0.0 0.0
H -0.6315 4.7795 4.6870 0.0 0.0 0.0
H -1.1384 5.3870 2.3387 0.0 0.0 0.0
H -1.0227 3.6766 0.5518 0.0 0.0 0.0
O -4.3721 -0.6845 -5.9710 0.1 0.0 0.0
C -4.3536 -0.2990 -4.6890 0.0 0.0 -0.1
O -5.3407 0.1095 -4.1558 0.0 0.0 0.0
C -3.0468 -0.3830 -3.9269 0.0 0.0 0.0
C -1.8737 -0.9487 -4.4157 0.0 0.0 0.0
C -0.7323 -0.9901 -3.6338 0.0 -0.1 0.0
C -0.7605 -0.4554 -2.3495 0.1 0.0 0.0
C -1.9341 0.0918 -1.8463 0.0 0.1 0.1
C -3.0672 0.1317 -2.6351 0.0 0.0 0.0
N 0.3982 -0.4745 -1.5011 -0.2 0.0 0.2
C 1.5788 -0.5551 -1.9845 0.1 0.0 0.0
C 2.6997 -0.6509 -1.0482 0.0 0.0 0.0
C 4.0141 -0.7313 -1.4391 0.0 0.0 0.0
C 5.0030 -0.8166 -0.4577 0.0 0.0 0.0
C 4.6424 -0.8222 0.8785 0.0 0.0 0.0
C 3.3022 -0.7424 1.2117 0.0 0.0 0.0
N 2.3490 -0.6561 0.2675 0.0 -0.1 0.1
H -3.5078 -0.9525 -6.3035 0.0 0.0 0.0
H -1.8216 -1.3943 -5.4008 0.0 0.0 0.0
H 0.1469 -1.4838 -4.0256 0.0 0.0 0.0
H -1.9615 0.5148 -0.8518 0.0 0.0 0.0
H -3.9904 0.5584 -2.2683 0.0 0.0 0.0
H 1.7811 -0.5531 -3.0503 0.0 0.0 0.0
H 4.2671 -0.7279 -2.4906 0.0 0.0 0.0
H 6.0450 -0.8800 -0.7426 0.0 0.0 0.0
H 5.3829 -0.8905 1.6624 0.0 0.0 0.0
H 2.9628 -0.7519 2.2387 0.0 0.0 0.0

~~~~~

Record 1
C6H7NO | the ωB97M-V functional and the def2-TZVPD basis

**HOMO-LUMO gap**: 0.217 hartree
**Multiplicity**: 1
**HOMO level**: -7.487 eV
**LUMO energy**: -0.058 Eh

Last column: Mulliken charge in e.
Geometry (Å):
C  0.53247  1.57458  0.37280  -0.53
C  0.85248  -0.12506  1.37206  -0.44
C  -0.54348  -1.55786  -0.31027  -0.41
C  -0.87422  -0.08098  -1.40428  -0.28
C  0.14502  -0.37014  -0.53331  -0.13
C  -0.15221  0.43468  0.66617  0.55
H  0.35498  1.82391  -1.91153  0.29
H  0.39370  2.47117  0.97267  0.30
H  1.94606  -0.31855  1.27769  0.33
H  -1.60278  -1.59966  -0.08322  0.33
H  -0.82556  -0.50486  -2.46622  0.31
H  1.14345  -0.45949  -0.91481  0.21
H  -1.19687  0.48677  1.07519  0.32
N  -0.27022  1.68261  -1.03898  -0.48
O  0.23978  -1.61610  1.04302  -0.36

Atomic forces in eV per Å
-1.5567 3.8906 -5.4623
2.7877 -6.1940 2.8149
1.6855 -4.0202 5.4349
0.3044 4.5533 -1.8509
0.3708 -0.7974 -6.5528
-2.8580 2.6436 3.5995
-1.0563 -0.0657 1.6992
0.6079 0.1443 -0.0016
=====

These activities demonstrate how religious radicalization can be a centrifugal force. Boko Haram is an Islamist extremist group that seeks to establish an Islamic state in Nigeria. Their actions, such as terrorist attacks, kidnappings, and massacres, are driven by an extremist interpretation of Islam, creating division and conflict within the country. This religious radicalization has led to increased violence and instability, highlighting how extremist ideologies can divide a country along religious lines and exacerbate existing cultural and ethnic tensions.

To understand how the activities of Boko Haram in Nigeria demonstrate the ability for culture to link or divide a country, one must examine the broader context of the group's actions and their impact on Nigerian society. Boko Haram is an Islamist extremist group primarily operating in northeastern Nigeria. Their activities include targeted attacks on civilians, government institutions, and security forces, as well as kidnappings and suicide bombings.

One way to analyze the impact of Boko Haram's activities on cultural dynamics in Nigeria is through the lens of religion. Boko Haram's ideology is deeply rooted in a radical interpretation of Islam, which they use to justify their violent actions. This extremist religious ideology can be seen as a centrifugal force, as it has the potential to divide the country along religious lines.

Their activities have resulted in increased religious tensions and conflicts between Christians and Muslims in Nigeria. This division is often exploited by Boko Haram to fuel their recruitment and gain support from marginalized communities that feel alienated or neglected by the government. Thus, the activities of Boko Haram demonstrate that religious radicalization can be a centrifugal force, leading to division within the country.

Additionally, Boko Haram's actions are also fueled by socio-economic grievances, including poverty, unemployment, and corruption. These factors can further deepen the cultural divisions within Nigeria, as communities affected by economic disparities may be more susceptible to radicalization and more willing to align themselves with extremist groups like Boko Haram.

It is important to note that while Boko Haram's activities may demonstrate the potential for culture to divide a country, they do not necessarily represent the entire cultural landscape of Nigeria. Nigeria is a diverse country with over 250 ethnic groups and multiple religions. While Boko Haram has had a significant impact on the country, it does not define the entirety of Nigeria's cultural dynamics.